One of the hardest concepts for online marketers to grasp is how to alter their campaigns so that they speak to a specific type of person. However, narrowing the target market and creating an ideal customer profile (ICP) is one of the most important campaign creation steps. Learn what an ICP is, why you need one, and how to use it when managing a digital marketing campaign.
What is an ICP?
Your ICP is a description of your ideal client that highlights the way he/she thinks, feels, and makes buying decisions. It’s used by businesses to create targeted marketing campaigns that speak directly to people within a specific demographic or psychographic segment. For example, someone who is trying to create a rehab marketing campaign would tailor their ICP by pinpointing the main concerns for suffering addicts and their families and illustrating how their rehabilitation facility solves those problems.
ICP Considerations
The information you include in your company’s ICP depends on the type of product or services you’re selling and your campaign goals, but it’s important to note, your ICP shouldn’t rely heavily on demographics. Use a combination of demographics and psychographics to get a “complete picture” of who your customer is and why they buy by focusing including only the demographics important to your campaign and focusing heavily on the psychographics — the “why” instead of the “who.”
For example, it’s important for a real estate agent targeting potential home buyers to tailor their campaign for renters, but it doesn’t really matter if a customer is a homeowner or a renter if your company isn’t in the real estate or home improvement industry.
Unrelated to this text: data records:
'''
The following is a DFT calculation (ωB97M-V/def2-TZVPD) of a structure of composition C35H45BiCl4N3O10S3SeSi in a non-equilibrium geometry.

F_max = 0.080 hartree/bohr
Frontier orbital gap = 7.361 eV
HOMO = -0.2013 hartree
Energy relative to the best compared isomer or geometry (same formula, charge and spin) = 42.1 kcal/mol

ORCA input file:
```
! wB97M-V def2-TZVPD RIJCOSX def2/J DEFGRID3
* xyz -1 1
H -6.56353 0.74756 0.31082
C -3.69712 0.47047 -0.86195
H -3.19642 -2.10053 -1.30373
S 1.85852 1.04843 -1.91975
C -2.44010 3.49362 -1.46282
C -1.03180 -2.70740 -5.74136
H -1.93839 -2.27850 -6.16110
H -5.24452 -1.02246 -2.73951
C 2.88874 0.59702 4.99979
H -0.90766 0.87229 -2.76188
O -0.35438 2.57992 4.27455
H -4.75508 2.36814 -0.76249
N -2.20509 -1.83985 1.80716
C -5.79686 -1.64304 -2.03787
C -1.01420 -0.73364 -4.18987
H -5.36329 -2.63968 -2.03543
H 0.12807 3.38884 1.40509
C -6.48460 -2.03295 0.32438
H -0.75922 -1.00875 -0.94372
C 1.81742 2.61869 -2.84851
Si 4.33521 -2.64717 -0.51218
H -3.15672 3.51638 -2.27498
H -0.66763 -1.35539 3.16873
Se 2.12694 -1.73250 -0.35292
Cl 6.26418 2.81181 -0.85843
O 3.65986 1.26555 2.58892
C 3.01812 0.45775 7.39445
Cl 6.33086 1.27365 1.56774
H 2.45190 2.50730 -3.72009
C 5.42784 -1.63314 -1.72952
H 4.78316 -4.68567 -2.00011
C -3.43771 -1.93728 -0.25470
H -3.72108 -0.53558 1.74556
H -6.52508 -1.60462 1.32081
N -0.29757 -0.97517 1.11927
H -6.82022 -1.72378 -2.39947
O 4.88497 -0.48296 3.77100
C -1.02703 -1.39866 2.16434
C -1.74043 2.66220 0.66750
Bi 1.79055 0.25621 1.09713
C -1.29858 4.27027 -1.54395
C -0.38357 4.23556 -0.50283
H 3.47379 0.04740 8.28146
H 0.50551 2.49388 6.38953
C -5.81435 -1.03856 -0.63242
C -0.35728 0.14495 -3.34546
H -4.00546 0.45747 -1.90646
C 1.35344 1.82926 6.35466
S 0.80820 1.93740 3.69416
Cl 1.02081 5.22670 -0.56220
C 1.07561 -1.75442 -4.75867
O 4.08236 0.42515 0.09589
S 3.60707 0.09264 3.43998
O 0.72226 1.16847 -0.94893
H -0.40100 -3.07036 -6.54975
C -6.66180 0.23729 -0.64113
C 3.98098 -4.36077 -1.34708
H -3.90760 -2.82569 0.17040
H 4.38878 -3.41345 1.87218
H 6.45889 -1.97292 -1.71024
C 1.73611 -0.87204 -3.92381
C 5.36153 2.35435 0.58902
C 1.01789 0.07266 -3.21312
H 5.06349 -1.70133 -2.75100
O -4.55215 -0.40509 1.26339
H 3.06662 -4.24971 -1.92264
H 5.41497 -0.59041 -1.43153
H 5.13641 -1.85164 1.71774
H 4.34121 -0.55048 6.01345
O 1.52886 2.76389 2.75818
C -0.30766 -1.70336 -4.89210
C -1.06139 -1.18415 0.06962
O 0.46553 0.61493 3.12525
O 2.69670 -0.92619 2.83314
C 3.49501 0.10495 6.14361
H 2.23079 3.35153 -2.16715
H -6.35579 0.90817 -1.43664
C 5.05173 -2.82507 1.24478
Cl 4.88258 3.78258 1.47154
C -2.68479 2.69603 -0.35214
H 3.81542 -5.13853 -0.61070
H -5.93859 -2.97068 0.37669
H 2.80304 -0.93484 -3.78538
H 1.55895 1.60801 8.47177
H -2.09027 -0.67234 -4.29204
O 3.21809 2.39670 -0.38324
H -1.31652 -3.56811 -5.13502
H -4.20102 1.74500 0.79549
H -1.89759 2.04566 1.54099
C -4.38118 -0.70209 -0.10055
H -1.12402 4.90620 -2.39944
H -7.49517 -2.25026 -0.01468
C 1.82500 1.46677 5.10308
'''
Psychographics include things such as your target market’s beliefs, values, mindset, buying habits, hobbies, and spending habits. They tell you why and when your customers buy your products, allowing you to present them with the right ad at the right time.
To create your company’s ICP, decide what demographics are important to you — the ones that matter the most to the campaign you’re creating. Then, compile a list of psychographic-related questions such as:
- What is your ideal customer concerned with right now — at the point they come into contact with your company?
- Where does your ideal customer hang out online?
- Does your ideal customer typically browse the internet at specific times of the day? If so, when?
- What does your ideal customer value the most?
- What is a typical day like for your ideal customer?
Combining a list of demographics and psychographics gives the insight you need to create a digital marketing campaign that speaks to your customer directly, making it easier to build a long-lasting relationship between your business and its customers.
How Do You Use an ICP?
Your company’s ICP should dictate your entire campaign. This means everything from the copy you write to the graphics you choose should appeal to people who fall within the guidelines you established when creating your ICP.
For example, if you are adapting a campaign so that it appeals to people of different cultures, you need to make sure the phrases you use translate well between the languages needed for your campaign. This means you might need multiple campaigns — one that makes sense in each language you’re targeting.
**Between two parts of the page: quantum chemistry results:**
'''
Below is 14 unconnected molecules or ions with the total composition C84H56O28 at a distorted geometry, with properties calculated with wB97M-V/def2-TZVPD.

Bonds (Å) are listed after each position.
Cartesian coordinates (Å):
1 O -4.138 2.567 1.357  C29 1.191
2 O -0.863 3.454 -0.493  C32 1.242
3 O -1.967 -0.319 3.073  C98 1.230
4 O 4.835 4.199 1.613  C96 1.219
5 O -4.046 -2.260 5.160  C70 1.203
6 O -2.489 1.713 -6.797  C102 1.188
7 O -3.145 2.674 6.656  C61 1.218
8 O 0.303 4.893 3.936  C54 1.219
9 O 1.844 7.964 -0.520  C43 1.200
10 O 2.427 -6.691 -3.527  C92 1.225
11 O -2.679 -1.443 -1.995  C50 1.170
12 O -4.918 1.489 -2.284  C30 1.206
13 O -7.356 -0.002 2.596  C94 1.246
14 O 3.374 -2.604 -2.642  C97 1.200
15 O -1.182 -4.309 -2.567  C84 1.191
16 O 2.426 0.554 6.162  C91 1.233
17 O 8.203 -4.658 -2.276  C109 1.219
18 O 3.696 -4.250 1.088  C103 1.241
19 O 0.627 -2.430 1.880  C58 1.189
20 O 3.035 1.273 2.979  C68 1.218
21 O -0.718 -3.784 6.827  C106 1.208
22 O -4.087 -4.373 -6.919  C44 1.243
23 O 1.774 -2.795 -5.984  C88 1.238
24 O 0.421 2.280 -4.829  C93 1.196
25 O -1.256 6.841 0.164  C36 1.253
26 O 7.638 -0.839 1.265  C83 1.235
27 O -5.079 -3.309 -0.855  C65 1.211
28 O 3.122 4.203 -3.892  C66 1.207
29 C -3.483 3.516 1.057  O1 1.191, C53 1.538, C75 1.489
30 C -4.157 1.440 -3.219  O12 1.206, C34 1.476, C39 1.456
31 C 1.692 -5.336 -1.632  C35 1.335, C92 1.468, H146 1.102
32 C 0.111 3.754 -1.203  O2 1.242, C59 1.461, C82 1.500
33 C -2.697 0.392 6.950  C61 1.505, C79 1.324, H125 1.132
34 C -3.652 2.753 -3.667  C30 1.476, C49 1.325, H158 1.102
35 C 2.156 -4.692 -0.559  C31 1.335, C103 1.477, H139 1.064
36 C -1.909 5.814 0.461  O25 1.253, C105 1.468, C110 1.486
37 C 1.307 5.262 -2.654  C59 1.302, C66 1.502, H132 1.075
38 C 6.337 -4.254 -3.594  C69 1.331, C109 1.472, H161 1.087
39 C -4.045 0.221 -4.008  C30 1.456, C108 1.297, H129 1.097
40 C -1.912 -3.929 -6.007  C44 1.467, C76 1.345, H133 1.078
41 C 1.059 -0.649 -6.859  C67 1.349, C88 1.540, H167 1.117
42 C -2.656 -2.294 0.250  C50 1.549, C89 1.345, H150 1.075
43 C 2.541 7.076 -0.114  O9 1.200, C60 1.471, C63 1.490
44 C -3.365 -4.117 -5.940  O22 1.243, C40 1.467, C52 1.484
45 C -1.945 0.044 -0.392  C50 1.459, C64 1.268, H131 1.079
46 C 2.111 3.897 5.009  C54 1.463, C95 1.340, H114 1.079
47 C 5.336 -1.207 1.769  C83 1.502, C90 1.339, H148 1.077
48 C 2.638 5.025 1.287  C63 1.326, C96 1.500, H168 1.112
49 C -3.184 2.880 -4.899  C34 1.325, C102 1.506, H138 1.121
50 C -2.438 -1.243 -0.868  O11 1.170, C42 1.549, C45 1.459
51 C -6.088 -0.277 0.667  C55 1.341, C94 1.483, H120 1.099
52 C -4.024 -4.110 -4.610  C44 1.484, C107 1.331, H113 1.049
53 C -2.447 4.089 2.038  C29 1.538, C110 1.360, H163 1.051
54 C 0.747 3.896 4.480  O8 1.219, C46 1.463, C112 1.481
55 C -5.623 -1.066 -0.312  C51 1.341, C65 1.472, H118 1.160
56 C 2.235 2.964 -2.144  C66 1.507, C82 1.311, H134 1.081
57 C 4.373 -5.985 -0.566  C86 1.332, C103 1.531, H124 1.123
58 C 0.421 -2.830 2.981  O19 1.189, C80 1.455, C100 1.504
'''
Companies fail to completely understand the importance of creating digital marketing campaigns specifically for different segments of their target market all the time. For example, in 1987, Braniff Airlines adapted a luxury travel campaign to target Spanish-speaking customers. Unfortunately, they translated their slogan, “Fly in Leather,” the translated phrase “vuelo en cuero” didn’t translate well on in their ads because the phrase was too similar to the Spanish phrase “vuelo en cueros,” which means “fly naked.” While this campaign didn’t have a major impact on the company, mistakes like this could alienate entire groups of people. So when you’re creating your own campaigns, create them to appeal to your ICP. Then, consider how the campaign will be perceived by different groups of people outside your ICP before you implement them.
Remember, an ICP isn’t magic. Creating one helps you focus your marketing campaigns, but you need to use the profile for it to work. When created and implemented correctly, your ICP should help you design digital marketing campaigns that increase your sales and customer retention rates.